# Request
Work out how many lines further below have the word "Bi" in them; a number is enough.

# Listing
-- begin --
Computed X-ray powder pattern of InAg2SnTe4 for Cu Kα (weighted mean of Kα1 and Kα2), from a structure optimized by DFT (GGA-PBE).
Intensities are scaled so that the largest is 100.

Peak list (8 most intense, 2θ = 5–70°, by intensity)
hkl  2θ/deg  I (rel.)
2 0 2  23.33  100.0
2 2 4  38.72  52.2
2 4 2  45.28  33.5
4 0 0  38.24  27.4
6 2 4  69.45  17.9
0 2 6  46.10  15.5
4 2 6  61.40  12.8
4 4 0  55.19  9.2

Structure:
```
data_InAg2SnTe4
_chemical_formula_sum 'In4 Ag8 Sn4 Te16'
_symmetry_space_group_name_H-M 'F m m 2'
_symmetry_Int_Tables_number 42
_symmetry_space_group_name_Hall 'F 2 -2'
_cell_length_a 9.4066
_cell_length_b 9.4219
_cell_length_c 13.0051
_cell_angle_alpha 90.00
_cell_angle_beta 90.00
_cell_angle_gamma 90.00
loop_
_atom_site_label
_atom_site_type_symbol
_atom_site_fract_x
_atom_site_fract_y
_atom_site_fract_z
In1 In 0.0000 0.0000 0.0000
Ag1 Ag 0.2500 0.2500 0.2498
Sn1 Sn 0.0000 0.0000 0.4996
Te1 Te 0.0000 0.2430 0.8679
Te2 Te 0.2435 0.0000 0.1321
```

~~~~~

CoB2H4C8N8O2: simulated XRD peak list (Cu Kα, 1.54184 Å), based on a PBE+U-relaxed structure.
Lines closer than 0.1° are merged.

Structure:
```
CoB2H4C8N8O2
1.0
-6.0335 6.0335 4.5498
6.0335 -6.0335 4.5498
6.0335 6.0335 -4.5498
Co B H C N O
2 4 8 16 16 4
Cartesian
0.0000 0.0000 0.0000
0.0000 6.0335 2.2749
3.0168 3.4627 -1.1375
8.6043 3.0168 1.1375
3.0168 2.5708 3.4124
-2.5708 3.0168 5.6873
6.7221 -0.4251 0.3398
5.3450 0.4251 0.3398
6.4586 5.3450 -1.9351
-0.4251 0.6886 2.6148
5.6085 -0.6886 4.2100
6.4586 0.6886 4.2100
5.3450 5.6085 1.9351
0.6886 0.4251 6.4849
4.1227 2.5075 -1.7349
4.3389 -2.3599 2.2700
8.3934 -1.6946 2.2798
1.9108 2.5075 -0.5400
9.5595 1.9108 0.5400
7.7281 3.6736 0.0049
3.6736 4.3389 -0.0049
3.6736 1.6946 2.2798
7.7281 2.3599 2.2700
3.5260 -1.9108 6.2847
1.9108 3.5260 2.8149
2.3599 1.6946 4.5450
-1.6946 2.3599 4.5547
4.1227 3.5260 4.0098
2.5075 7.9443 1.7349
-3.5260 4.1227 5.0899
7.8706 -1.1112 1.4213
10.3434 1.1435 0.1619
1.1435 1.7236 -0.1619
4.9223 -1.8371 3.1286
4.1964 1.1112 1.4213
7.1447 4.1964 -0.8536
7.1447 1.8371 3.1286
4.1964 4.9223 0.8536
-1.1112 1.8371 3.6962
1.1435 4.3099 2.4368
-1.7236 4.8900 2.1130
1.8371 1.1112 5.4035
1.7236 7.1771 2.1130
4.8900 4.3099 4.3879
-1.1435 7.7572 2.4368
-4.3099 4.8900 4.7117
0.0000 0.0000 2.0367
0.0000 6.0335 0.2382
0.0000 0.0000 7.0630
0.0000 6.0335 4.3116
```

Top 10 peaks for 2θ = 15–90°, in order of rising 2θ:
2theta, intensity
19.1, 66
20.8, 100
22.1, 68
24.2, 31
28.4, 67
30.6, 26
33.2, 35
33.9, 32
38.6, 24
42.4, 29

~~~~~

Theoretical powder XRD pattern of KMg2Bi for copper Kα, from DFT lattice parameters and positions (GGA-PBE).
Neutral-atom scattering factors, no anomalous dispersion.

Structure:
```
KMg2Bi
1.0
4.809 0.000 0.000
0.000 4.809 0.000
0.000 0.000 11.605
K Mg Bi
2 4 2
direct
0.250 0.250 0.240
0.750 0.750 0.760
0.250 0.250 0.944
0.250 0.750 0.500
0.750 0.250 0.500
0.750 0.750 0.056
0.250 0.250 0.656
0.750 0.750 0.344
```

Principal peaks in the range 2θ from 10° to 90°, by angle:
d 4.443, 19.99 deg, I 91; d 3.703, 24.03 deg, I 100; d 3.400, 26.21 deg, I 79; d 2.554, 35.14 deg, I 66; d 2.484, 36.16 deg, I 37; d 2.404, 37.40 deg, I 45; d 2.090, 43.28 deg, I 32; d 2.017, 44.95 deg, I 40


Theoretical powder XRD pattern of KMg6Bi4 for copper Kα, from DFT lattice parameters and positions (GGA-PBE).
Neutral-atom scattering factors, no anomalous dispersion.

Structure:
```
KMg6Bi4
1.0
9.058 0.000 0.000
-4.529 7.844 0.000
0.000 0.000 4.524
K Mg Bi
1 6 4
direct
0.000 0.000 0.000
0.194 0.387 0.500
0.194 0.806 0.500
0.544 0.088 0.000
0.544 0.456 0.000
0.613 0.806 0.500
0.912 0.456 0.000
0.333 0.667 0.000
0.374 0.187 0.500
0.813 0.187 0.500
0.813 0.626 0.500
```

Principal peaks in the range 2θ from 10° to 90°, by angle:
d 3.921, 22.68 deg, I 100; d 3.201, 27.88 deg, I 31; d 2.964, 30.15 deg, I 33; d 2.480, 36.23 deg, I 38; d 2.264, 39.82 deg, I 53; d 1.960, 46.32 deg, I 37; d 1.601, 57.59 deg, I 24; d 1.482, 62.69 deg, I 24
-- stop --

# Worked solution
2